(Brief)
It remains to reproduce the whole of the rows underneath verbatim.

(File)
- - -
Below is a geometry-optimized Ac7CoPd4 structure, with properties calculated at the GGA-PBE level.

Unit cell a=4.2861 b=7.5103 c=13.1849 alpha=104.63 beta=90.00 gamma=106.58
Last column: nearest neighbours and their distance in Å.
Fractional coordinates of all 12 atoms:
Ac  0.7455  0.4910  0.3670  1 Co 2.92, 2 Pd 3.09
Ac  0.2722  0.5444  0.6365  2 Co 2.97, 1 Pd 3.06
Ac  0.3419  0.6837  0.9466  5 Pd 3.04-3.27
Ac  0.6523  0.3046  0.0518  5 Pd 3.04-3.31
Ac  0.0325  0.0650  0.7764  1 Co 2.95, 3 Pd 3.10-3.11
Ac  0.9625  0.9250  0.2184  4 Pd 3.05-3.09
Ac  0.4954  0.9908  0.5078  2 Co 2.90, 2 Pd 3.10
Co  0.8872  0.7744  0.5719  6 Ac 2.90-2.97
Pd  0.6947  0.3895  0.8166  5 Ac 3.11-3.31
Pd  0.3028  0.6057  0.1802  5 Ac 3.09-3.27
Pd  0.9973  0.9947  0.9982  6 Ac 3.04-3.10
Pd  0.1156  0.2312  0.4286  6 Ac 3.05-3.10

Calculated values
* formation energy: -51 kJ per mole of atoms
* calculated volume: 392.4 Å³/cell
* theoretical density: 8775 kg/m3

---

Below is a geometry-optimized Ac2CoPd structure, with properties calculated at the GGA-PBE level.

Unit cell a=4.0498 b=4.0498 c=9.2483 alpha=77.35 beta=77.35 gamma=60.00
Last column: nearest neighbours and their distance in Å.
Fractional coordinates of all 4 atoms:
Ac  0.1052  0.1052  0.6844  1 Pd 2.82, 3 Co 2.86
Ac  0.8948  0.8948  0.3156  1 Pd 2.82, 3 Co 2.86
Co  0.5000  0.5000  0.5000  6 Ac 2.86
Pd  0.0000  0.0000  0.0000  2 Ac 2.82

Calculated values
* formation energy: 15 kJ per mole of atoms
* calculated volume: 127.1 Å³/cell
* theoretical density: 8092 kg/m3

---

Below is a geometry-optimized AcPmCoPd structure, with properties calculated at the GGA-PBE level.

Unit cell a=5.1278 b=5.1278 c=5.1278 alpha=60.00 beta=60.00 gamma=60.00
Last column: nearest neighbours and their distance in Å.
Fractional coordinates of all 4 atoms:
Ac  0.5000  0.5000  0.5000  4 Co 3.14, 4 Pd 3.14
Co  0.7500  0.7500  0.7500  4 Ac 3.14, 4 Pm 3.14
Pd  0.2500  0.2500  0.2500  4 Ac 3.14, 4 Pm 3.14
Pm  0.0000  0.0000  0.0000  4 Pd 3.14, 4 Co 3.14

Calculated values
* formation energy: -26 kJ per mole of atoms
* calculated volume: 95.3 Å³/cell
* theoretical density: 9359 kg/m3

---

Below is a geometry-optimized Ac2Pr2CoPd2 structure, with properties calculated at the GGA-PBE level.

Unit cell a=4.1034 b=7.4161 c=7.6605 alpha=65.63 beta=74.47 gamma=90.02
Last column: nearest neighbours and their distance in Å.
Fractional coordinates of all 7 atoms:
Ac  0.2131  0.2366  0.5730  1 Co 2.88, 2 Pd 3.09
Ac  0.7869  0.7634  0.4270  1 Co 2.88, 2 Pd 3.09
Pr  0.4816  0.2427  0.0364  2 Co 2.82, 2 Pd 3.12
Pr  0.5184  0.7573  0.9636  2 Co 2.82, 2 Pd 3.12
Co  0.0000  0.0000  0.0000  4 Pr 2.82, 2 Ac 2.88
Pd  0.1170  0.5628  0.7671  3 Ac 3.09-3.30, 4 Pr 3.12-3.19, 1 Pd 3.15
Pd  0.8830  0.4372  0.2329  3 Ac 3.09-3.30, 4 Pr 3.12-3.19, 1 Pd 3.15

Calculated values
* formation energy: -40 kJ per mole of atoms
* calculated volume: 203.0 Å³/cell
* theoretical density: 8243 kg/m3

---

Below is a geometry-optimized AcPrCoPd structure, with properties calculated at the GGA-PBE level.

Unit cell a=5.1636 b=5.1636 c=5.1636 alpha=60.00 beta=60.00 gamma=60.00
Last column: nearest neighbours and their distance in Å.
Fractional coordinates of all 4 atoms:
Pr  0.7500  0.7500  0.7500  4 Co 3.16, 4 Pd 3.16
Ac  0.2500  0.2500  0.2500  4 Pd 3.16, 4 Co 3.16
Co  0.5000  0.5000  0.5000  4 Ac 3.16, 4 Pr 3.16
Pd  0.0000  0.0000  0.0000  4 Ac 3.16, 4 Pr 3.16

Calculated values
* formation energy: -25 kJ per mole of atoms
* calculated volume: 97.4 Å³/cell
* theoretical density: 9096 kg/m3

---

Below is a geometry-optimized Ac5CoPd2Pt structure, with properties calculated at the GGA-PBE level.

Unit cell a=4.3281 b=9.1706 c=15.5371 alpha=90.00 beta=90.00 gamma=103.65
Last column: nearest neighbours and their distance in Å.
Fractional coordinates of all 18 atoms:
Ac  0.4001  0.8002  0.0167  1 Co 2.75, 1 Pt 3.01
Ac  0.7254  0.4508  0.9122  2 Co 2.96, 1 Pt 3.07, 1 Pd 3.23
Ac  0.4842  0.9685  0.7665  1 Pt 2.95, 4 Pd 3.13-3.21
- - -

(Worked solution)
Below is a geometry-optimized Ac7CoPd4 structure, with properties calculated at the GGA-PBE level.

Unit cell a=4.2861 b=7.5103 c=13.1849 alpha=104.63 beta=90.00 gamma=106.58
Last column: nearest neighbours and their distance in Å.
Fractional coordinates of all 12 atoms:
Ac  0.7455  0.4910  0.3670  1 Co 2.92, 2 Pd 3.09
Ac  0.2722  0.5444  0.6365  2 Co 2.97, 1 Pd 3.06
Ac  0.3419  0.6837  0.9466  5 Pd 3.04-3.27
Ac  0.6523  0.3046  0.0518  5 Pd 3.04-3.31
Ac  0.0325  0.0650  0.7764  1 Co 2.95, 3 Pd 3.10-3.11
Ac  0.9625  0.9250  0.2184  4 Pd 3.05-3.09
Ac  0.4954  0.9908  0.5078  2 Co 2.90, 2 Pd 3.10
Co  0.8872  0.7744  0.5719  6 Ac 2.90-2.97
Pd  0.6947  0.3895  0.8166  5 Ac 3.11-3.31
Pd  0.3028  0.6057  0.1802  5 Ac 3.09-3.27
Pd  0.9973  0.9947  0.9982  6 Ac 3.04-3.10
Pd  0.1156  0.2312  0.4286  6 Ac 3.05-3.10

Calculated values
* formation energy: -51 kJ per mole of atoms
* calculated volume: 392.4 Å³/cell
* theoretical density: 8775 kg/m3

---

Below is a geometry-optimized Ac2CoPd structure, with properties calculated at the GGA-PBE level.

Unit cell a=4.0498 b=4.0498 c=9.2483 alpha=77.35 beta=77.35 gamma=60.00
Last column: nearest neighbours and their distance in Å.
Fractional coordinates of all 4 atoms:
Ac  0.1052  0.1052  0.6844  1 Pd 2.82, 3 Co 2.86
Ac  0.8948  0.8948  0.3156  1 Pd 2.82, 3 Co 2.86
Co  0.5000  0.5000  0.5000  6 Ac 2.86
Pd  0.0000  0.0000  0.0000  2 Ac 2.82

Calculated values
* formation energy: 15 kJ per mole of atoms
* calculated volume: 127.1 Å³/cell
* theoretical density: 8092 kg/m3

---

Below is a geometry-optimized AcPmCoPd structure, with properties calculated at the GGA-PBE level.

Unit cell a=5.1278 b=5.1278 c=5.1278 alpha=60.00 beta=60.00 gamma=60.00
Last column: nearest neighbours and their distance in Å.
Fractional coordinates of all 4 atoms:
Ac  0.5000  0.5000  0.5000  4 Co 3.14, 4 Pd 3.14
Co  0.7500  0.7500  0.7500  4 Ac 3.14, 4 Pm 3.14
Pd  0.2500  0.2500  0.2500  4 Ac 3.14, 4 Pm 3.14
Pm  0.0000  0.0000  0.0000  4 Pd 3.14, 4 Co 3.14

Calculated values
* formation energy: -26 kJ per mole of atoms
* calculated volume: 95.3 Å³/cell
* theoretical density: 9359 kg/m3

---

Below is a geometry-optimized Ac2Pr2CoPd2 structure, with properties calculated at the GGA-PBE level.

Unit cell a=4.1034 b=7.4161 c=7.6605 alpha=65.63 beta=74.47 gamma=90.02
Last column: nearest neighbours and their distance in Å.
Fractional coordinates of all 7 atoms:
Ac  0.2131  0.2366  0.5730  1 Co 2.88, 2 Pd 3.09
Ac  0.7869  0.7634  0.4270  1 Co 2.88, 2 Pd 3.09
Pr  0.4816  0.2427  0.0364  2 Co 2.82, 2 Pd 3.12
Pr  0.5184  0.7573  0.9636  2 Co 2.82, 2 Pd 3.12
Co  0.0000  0.0000  0.0000  4 Pr 2.82, 2 Ac 2.88
Pd  0.1170  0.5628  0.7671  3 Ac 3.09-3.30, 4 Pr 3.12-3.19, 1 Pd 3.15
Pd  0.8830  0.4372  0.2329  3 Ac 3.09-3.30, 4 Pr 3.12-3.19, 1 Pd 3.15

Calculated values
* formation energy: -40 kJ per mole of atoms
* calculated volume: 203.0 Å³/cell
* theoretical density: 8243 kg/m3

---

Below is a geometry-optimized AcPrCoPd structure, with properties calculated at the GGA-PBE level.

Unit cell a=5.1636 b=5.1636 c=5.1636 alpha=60.00 beta=60.00 gamma=60.00
Last column: nearest neighbours and their distance in Å.
Fractional coordinates of all 4 atoms:
Pr  0.7500  0.7500  0.7500  4 Co 3.16, 4 Pd 3.16
Ac  0.2500  0.2500  0.2500  4 Pd 3.16, 4 Co 3.16
Co  0.5000  0.5000  0.5000  4 Ac 3.16, 4 Pr 3.16
Pd  0.0000  0.0000  0.0000  4 Ac 3.16, 4 Pr 3.16

Calculated values
* formation energy: -25 kJ per mole of atoms
* calculated volume: 97.4 Å³/cell
* theoretical density: 9096 kg/m3

---

Below is a geometry-optimized Ac5CoPd2Pt structure, with properties calculated at the GGA-PBE level.

Unit cell a=4.3281 b=9.1706 c=15.5371 alpha=90.00 beta=90.00 gamma=103.65
Last column: nearest neighbours and their distance in Å.
Fractional coordinates of all 18 atoms:
Ac  0.4001  0.8002  0.0167  1 Co 2.75, 1 Pt 3.01
Ac  0.7254  0.4508  0.9122  2 Co 2.96, 1 Pt 3.07, 1 Pd 3.23
Ac  0.4842  0.9685  0.7665  1 Pt 2.95, 4 Pd 3.13-3.21